Tips on Roughage Utilization

July 2019:

Losses at the silage storage.

It has been discussed many times but the ration what is calculated should be lying at the feeding fence.
Calculations and plans for the feeding rations come from analyses, and a plan, usually made with your feeding advisor.

For some reason it occasionally still goes wrong. The silage might have gotten warm which results in loss of energy and taste. Inevitably, the cows will eat less and receive less energy that what was calculated.

What also happens is that crows, starlings and ducks, spend a lot of time at your roughage storage. Predominantly for the corn kernels. Besides taking away valuable energy and starch, and walking around in the storage, they also shit in the cows food

This also happens in the stable…

By keeping the silage storage as clean as possible, and by pulling a protective cover every day over open silage we can eradicate these forms of energy/taste loss.

Making the stable “bird-proof” won’t be easy.

Also pay attention to what extent the sun can shine on the open surface of the silage, this also dries and heats more than intended.


January 2019:

Make the most of good silage.

It’s been another special year for harvesting. After a very good first cut, most dairy farmers were not able to get much from second cut. Most of this was of less quantity and quality with a lot of stalk and containing less nutritional energy because of the drought.

The corn was also different this year. Some farmers got a very good harvest while others were stuck with too little amount and containing too little starch. On top of that, during feeding it seems very hard to keep cold.

What does your roughage stock look like and how many months of good quality supply do you have for your cows? How long can you spread it out?

If that’s considerably less than the supply you need during the winterperiod, then it is crucial to take measures to stretch the duration of your supply.
We don’t want to have to think about the possibility of good cows eating poor quality roughage.

Some example measures you can take: Give non-lactating cows and young cattle other feed (Dry cows could get hammered straw).

Give the lowest producing cows, in a production group, different roughage, perhaps.
Or, strictly select the bottom end of the herd and dry off cows on time (or earlier).

Correct the ration with by-products as well, both on quantity and type of supplementation.
This year, this will be a special field of interest.

Consult with your advisor on these issues. Don’t just take the quality or quantity of silage for what it is. S/he will also experience new situations this year and can tailor solutions to your specific region.


September 2017:

Free products for fens.

Cows often feel exactly what they need.

For this reason it could be useful to always give some extra hay or straw for free at their troughs. If everything goes well, your well rationed feed of corn, grass and extras should be so good they’ll always come back for more of that! The first day they eat the hay for curiosity, but after that they only eat from the hay when they need it. The cows that take some extra hay are the ones that have just given birth or aren’t feeling very well.

Just keep in mind that the hay has to be tasteful and good.

Even if there is, for a moment, not much good food in front of the troughs, the cow will eat some hay and keep its Pens / rumen and PH stable.

If they don’t take the hay, it means that the cows feel well with your ration!

There are also dairy farmers that have good experiences with setting a box of sodium bicarbonate or salt at the troughs. You’ll see an increase of consumption during warm weather.

Then the cows who don’t need it won’t take it.

Discuss the possibilities with your feeding advisor.

**Data records, as found in the file:**
********
#one
A relaxed CaTa2Cu crystal, computed with PBEsol.

Calculated values
- V: 147 Å³ per cell
- Total magnetization: 0.001 μB per cell

Cell and atoms, written as CIF:
```
data_CaTa2Cu
_space_group_name_H-M_alt 'C m m m'
_space_group_IT_number 65
_space_group_name_Hall '-C 2 2'
_cell_length_a 3.9247
_cell_length_b 4.0820
_cell_length_c 9.1812
_cell_angle_alpha 90.00
_cell_angle_beta 90.00
_cell_angle_gamma 90.00
loop_
_atom_site_label
_atom_site_type_symbol
_atom_site_fract_x
_atom_site_fract_y
_atom_site_fract_z
Ca1 Ca 0.0000 0.0000 0.0000
Ta1 Ta 0.0000 0.5000 0.3014
Cu1 Cu 0.0000 0.0000 0.5000
```

***

#two
A relaxed CaTa2Cu crystal, computed with PBEsol.

Calculated values
- V: 75 Å³ per cell
- Total magnetization: 0.001 μB per cell

Cell and atoms, written as CIF:
```
data_CaTa2Cu
_space_group_name_H-M_alt 'P 4/m m m'
_space_group_IT_number 123
_space_group_name_Hall '-P 4 2'
_cell_length_a 3.8823
_cell_length_b 3.8823
_cell_length_c 4.9709
_cell_angle_alpha 90.00
_cell_angle_beta 90.00
_cell_angle_gamma 90.00
loop_
_atom_site_label
_atom_site_type_symbol
_atom_site_fract_x
_atom_site_fract_y
_atom_site_fract_z
Ca1 Ca 0.0000 0.0000 0.0000
Ta1 Ta 0.0000 0.5000 0.5000
Cu1 Cu 0.5000 0.5000 0.0000
```

***

#three
A relaxed CaTa2Cu crystal, computed with PBEsol.

Calculated values
- V: 220 Å³ per cell
- Total magnetization: 0.003 μB per cell

Cell and atoms, written as CIF:
```
data_CaTa2Cu
_space_group_name_H-M_alt 'R -3 m'
_space_group_IT_number 166
_space_group_name_Hall '-R 3 2"'
_cell_length_a 2.9089
_cell_length_b 2.9089
_cell_length_c 29.9988
_cell_angle_alpha 90.00
_cell_angle_beta 90.00
_cell_angle_gamma 120.00
loop_
_atom_site_label
_atom_site_type_symbol
_atom_site_fract_x
_atom_site_fract_y
_atom_site_fract_z
Ca1 Ca 0.0000 0.0000 0.0000
Ta1 Ta 0.0000 0.0000 0.2393
Cu1 Cu 0.0000 0.0000 0.5000
```

***

#four
A relaxed CaTa2Cu crystal, computed with PBEsol.

Calculated values
- V: 149 Å³ per cell
- Total magnetization: 0.001 μB per cell

Cell and atoms, written as CIF:
```
data_CaTa2Cu
_space_group_name_H-M_alt 'I m m m'
_space_group_IT_number 71
_space_group_name_Hall '-I 2 2'
_cell_length_a 2.9324
_cell_length_b 4.7639
_cell_length_c 10.6535
_cell_angle_alpha 90.00
_cell_angle_beta 90.00
_cell_angle_gamma 90.00
loop_
_atom_site_label
_atom_site_type_symbol
_atom_site_fract_x
_atom_site_fract_y
_atom_site_fract_z
Ca1 Ca 0.0000 0.0000 0.0000
Ta1 Ta 0.0000 0.5000 0.2156
Cu1 Cu 0.0000 0.0000 0.5000
```

***

Short version: #four is the most stable of them.

***

#one
A relaxed Ca2CuTc crystal, computed with PBEsol.

Calculated values
- V: 79 Å³ per cell
- Total magnetization: 0.001 μB per cell

Cell and atoms, written as CIF:
```
data_Ca2CuTc
_space_group_name_H-M_alt 'P m m m'
_space_group_IT_number 47
_space_group_name_Hall '-P 2 2'
_cell_length_a 2.9078
_cell_length_b 3.3992
_cell_length_c 8.0408
_cell_angle_alpha 90.00
_cell_angle_beta 90.00
_cell_angle_gamma 90.00
loop_
_atom_site_label
_atom_site_type_symbol
_atom_site_fract_x
********


January 2017:

Ration, Christmasfeeling by cows.

During the holiday break, Christmas and New Year, did you eat well and maybe too much?
Did you also notice that afterwards you can take a nice, longer than usual, nap? And going a little later to the barn because it was somewhat more difficult to start with the chores?
That is what we call: “The Christmas feeling”.

Cows have that same feeling when the ration is appetizing but not well balanced. For example: by proportionally having too much starch or other saturating, slow products. Additionally, a ration could also be badly balanced due to fast products that gives the same feeling. Moreover, it could also happen because there wasn’t good and enough feed in the troughs for a few hour(s) so they eat for a while too little and after feed finally arrived then the cows eat too much or too fast.

Also the feeling could develop when a cow changes from group with very different tasty rations occur often to fluctuating feeding.

In conclusion, we notice one severe farms this “Christmas Feeling” a long time! To solve this issue, you need a good ration and feeding-rules to keep the cows healthier and active over a longer period of time.

Read the herd’s behavior: you can see discrepancies in the number of times they visit the VMS, where the cows are and how they act in the barn or how they ruminate.


June 2016:

Ruminating activity.

On average, 50-60% of the cows should be ruminating.

And at the times that you are observing if there are any cows in heat you can also check / count this behavior.

In the meantime, count the jaw movements of an individual cow between two regurgitations.
That should be between 60-70 movements.

Less is not good, then she needs to do less movements because the food has not as much structure as it should have, or she has eaten to little amount!
More is also not good because that means feed has too much structure, mostly instead of energy.
But it is also possible that  the extra times she chews implies she wants to make more saliva.
That in return could entail that the cow wants to neutralize the pH in the rumen which possibly indicates subclinical acidosis!

You will also notice that by changes in grass silage also could have an influence on the amount of jaw movements a cow needs to do.

Also warm weather stress could influence this phenomenon, at first she ruminates more often when she has problems making enough sodium bicarbonate on her own, and then she ruminates to few because she needs to much time to breath. And eating less because of warm weather also means she ruminates less.

Data records that have nothing to do with the entry
VASP calculation (PBE-GGA) on an optimized crystal structure of Ni2BI.

a = 6.0380 Å, b = 6.0380 Å, c = 6.0380 Å
α = 90.00°, β = 90.00°, γ = 90.00°
Atoms (fractional coordinates):
Ni: 0.2500 0.2500 0.2500
Ni: 0.2500 0.2500 0.7500
Ni: 0.2500 0.7500 0.2500
Ni: 0.2500 0.7500 0.7500
Ni: 0.7500 0.2500 0.2500
Ni: 0.7500 0.2500 0.7500
Ni: 0.7500 0.7500 0.2500
Ni: 0.7500 0.7500 0.7500
B: 0.0000 0.0000 0.0000
B: 0.0000 0.5000 0.5000
B: 0.5000 0.0000 0.5000
B: 0.5000 0.5000 0.0000
I: 0.0000 0.0000 0.5000
I: 0.0000 0.5000 0.0000
I: 0.5000 0.0000 0.0000
I: 0.5000 0.5000 0.5000

Its polymorph energy (0 for the lowest one) is 698.5 meV/atom. Its final energy is -3.85 eV/atom. Its magnetization is 0.00 μB/cell. The value obtained for the calculated volume is 13.76 A^3/atom. As for the formation energy from raw total energies: 1.10 eV per atom. For the density of states at the Fermi level, the calculation gives 1.9 states/eV/f.u.

~~~~~

## Li2UWO8 (PBE+U)

Data for an optimized crystal structure of Li2UWO8.

The space group is Cmmm (No. 65) and the conventional cell measures 6.7621, 6.7771 and 6.6257 Å, with angles of 90.00, 90.00 and 90.00 degrees. The inequivalent atoms are Li at (0.0000, 0.0000, 0.2170), U at (0.0000, 0.5000, 0.5000), W at (0.0000, 0.5000, 0.0000), O at (0.0000, 0.2176, 0.0000), O at (0.0000, 0.2257, 0.5000) and O at (0.1917, 0.5000, 0.2218).

The calculation puts the volume at 12.65 Å³/atom. The value obtained for the total energy is -7.21 eV/atom. Its calculated density is 6.17 g cm⁻³.

~~~~~

## RbLaTe3 (PBE)

Data for an optimized crystal structure of RbLaTe3.

relative energy among the computed polymorphs = 0 meV/atom
formation energy (no corrections) = -0.83 eV per atom
space group = No. 221
DFT total energy = -3.90 eV/atom

Unit cell a=6.234 b=6.234 c=6.234 alpha=90.00 beta=90.00 gamma=90.00
Fractional positions:
Rb (0.500, 0.500, 0.500)
Te (0.500, 0.000, 0.000)
La (0.000, 0.000, 0.000)
Te (0.000, 0.000, 0.500)
Te (0.000, 0.500, 0.000)

~~~~~

ThGaAu3 | GGA-PBE | relaxed

- DOS(E_F) (states/eV/atom) = 0.62
- total DFT energy (no corrections) (eV/atom) = -4.4622
- energy of formation (meV/atom) = -406
- ΔE to the lowest computed polymorph (meV per atom) = 145.3
- space group = Cmmm

Geometry as extended XYZ:
```
10
Lattice="3.9933 0.0000 0.0000 0.0000 4.5361 0.0000 0.0000 -2.2680 12.2021" Properties=species:S:1:pos:R:3 pbc="T T T"
Th 1.9966 2.2680 8.0703
Th 1.9966 0.0000 4.1317
Ga 0.0000 2.2680 2.8415
Ga 0.0000 0.0000 9.3606
Au 0.0000 0.0000 1.4502
Au 0.0000 2.2680 10.7518
Au 0.0000 0.0000 6.8551
Au 0.0000 2.2680 5.3469
Au 1.9966 0.0000 10.8570
Au 1.9966 2.2680 1.3450
```

~~~~~

Pr4AgHg7 | the Alexandria database | PBE | relaxed; crystal system = monoclinic; ΔH_f (0 K) = -0.30 eV/atom; mass density = 10.30 g/cm³; space group = C2/m
1.0
7.8197 -2.7005 0.0000
7.8197 2.7005 0.0000
-5.2520 0.0000 7.9266
Pr Ag Hg
4 1 7
Cartesian
-0.2429 0.0000 1.9488 Pr
-0.2702 0.0000 6.0078 Pr
10.6576 0.0000 1.9187 Pr
10.6304 0.0000 5.9778 Pr

And an empty feed fence for a few hours also gives irregular rumination.


October 2014:

Play with the big differences in grass silage quality

A lot of roughage has been harvested this year and again with very different qualities.

It was possible to mow very early this year, and especially the first cut had a lot of energy in it and a lot of crude protein.

But, especially if it’s not really dry it is not good for the cow’s rumen.
They simply cannot handle it!

This grass silage with her fantastic contents can only be used when you mix it with other types of silage, and there’s been a lot of different silage harvested this year!

It will be better if you can dose special silages over a longer period of time for a year!

That is also with the grass you mow this fall, much crude protein, less energie and less tasty => less intake!!

Discuss the feed rations well with your advisor, especially the distribution of it over the whole year if you (despite the top quality and large quantities of roughage) don’t want to “fool around” for a few months at the end.


September 2014:

The corn harvesting season is coming.

Although we all have quite a lot of experience with corn and corn harvesting, things quite frequently go wrong.

If the corn isn’t harvested when it’s ripe, you can get acidosis, which will always result in less milk. This means that if you have a VMS, where the cows go to voluntarily and the cow doesn’t feel well, she won’t go often.

So, does the milk production take a dive twice as much as in traditional milking.
It easily declines the visits with 0.2 – 0.5 visits per cow per day….

If you also have harvested short or wet grass silage and have the problem mentioned earlier, then you know that the food ration simply isn’t to correct.

Also old corn silage can give rumen acidosis, so be cautious when feeding that to your cows.

Ripe, well chopped, right height and width associated with the feed-rate and sealing:

You decide a large part of your income in two days!


December 2013:

Compensation Roughage when it’s not as good as analyses thinks.

2012 was a special year of growth. In most places felt more than enough rain, good temperatures but with less sunlight. That gave a lot of grass growth. If a cow gives much milk she gets some more kilograms of concentrate. The grassland gets often no extra fertilizer and as a result there is a lot of grass silage won with less energy. Less sunlight means less sugar, and that means less tasty ….! Bacteria need sugars what they use to make lactic acid. This is necessary for the silage to succeed well.

These bacteria grab their part so your silage and the analysis seems all right. But too little sugar left for the taste. Usually, we are happy if you do not cut for your silage to short, but this year seems longer mowed grass at a disadvantage with comparatively much stalk and less energy and taste. And crude fiber is inherently uncomfortable. Additionally, you might not always have the opportunity to mow in the afternoon or evening, which also gives more sugars in the silage.

It seems not always to be seen in the silage analyses that we get disappointing results because the cows make far too little from your roughage. (How quick that goes see Tip sept. 2011). Roughage consumption is easy 10-20% lower when a cow comes less to the feed fence or already stops eating as the biggest draw is resolved ..

  • Do the analyses show same numbers as your eyes and hands?
  • Does your ration to feed fence have enough flavor?
  • Can you e.g. longer, shorter or otherwise different silage mix to feed?
  • Do you compensate what is missing?

For example:

  • Good silage, good analysis but they eat too little: Molasses??
  • Moderate silage, too little energy, sugar and flavor: Press Pulp??
  • Many crude fiber but is not sufficiently digested: Brewers’ grains??
  • ………………….

Especially since food purchases this year is very expensive, it is very important with your (feed) advisor to see which supplement is good and which is not good for your business. If you can control that the costs might not go too heavy.


September 2011:

Influence of more palatable roughage

In the spring grass is more than 1000 VEM and is delicious! In summer and autumn this drops to  ± 950 VEM.

Imagine a cow eats about 18 kg dry grass in spring, far more than the autumn grass for example:

18 x 1000   = 18,000 VEM (accounts for ± 28 liters)
15 x   950   = 14,250 VEM (accounts for ± 20 liters)
difference …….3,750 VEM

1 kg of concentrate is ± 950 VEM. From August you usually feed some dry matter from grass silage and/or maize but that also has not VEM of spring grass. So when you want to compensate the high yielders there is required 3 to 4 kg of additional concentrate… …

Lower yielding cows have with 14,000 VEM often enough.

So it is with the various cuts this year, the spring silage is energetic and very tasty with lots of sugar. The later is less tasty and has less VEM. Again count that the cows just easy eat 2 kg more of the spring silage than from later harvested.
Compare it with the situation you also like to eat more when mother/wife has done a very good cooking job.

So then you will have easily a drop in the feeding of 2 x 950 = 1900 VEM per cow per day! That is also 2 kg extra feed to maintain the VEM level….

In addition, there are also large fluctuations in protein, etc.

It is very difficult to keep the cows on the milk all seasons round. So another possible motivation to make several pits to distribute de harvest and make it possible to spread the ration wider over the year.

Also fluctuations, especially in protein is not only bad for the production but also bad for laminitis and resistance for diseases.
And so this has also a lot of influence on behavior, the count of visits to the VMS, production and lifetime production from the cow!

Additional problem this year is that the second and third cut silage this year is almost impossible to keep cold. So when the silage is stored too high or the feed speed to slow the silage analysis can be easy different than the silage you are feeding.

Next to the article, the page also holds records of crystals.
........
DFT (PBE with a Hubbard U) results for GaNiOF2 after structural relaxation.

```
data_GaNiOF2
_symmetry_space_group_name_H-M 'P 4/m m m'
_symmetry_Int_Tables_number 123
_symmetry_space_group_name_Hall '-P 4 2'
_cell_length_a 3.9655
_cell_length_b 3.9655
_cell_length_c 3.6941
_cell_angle_alpha 90.00
_cell_angle_beta 90.00
_cell_angle_gamma 90.00
loop_
_atom_site_label
_atom_site_fract_x
_atom_site_fract_y
_atom_site_fract_z
Ga1 0.0000 0.0000 0.0000
Ni1 0.5000 0.5000 0.5000
O1 0.0000 0.0000 0.5000
F1 0.0000 0.5000 0.0000
```

## Properties
Theoretical density, g/cm³: 5.2
Distance to the lowest polymorph of the same formula, meV/atom: 0
Uncorrected energy, eV/atom: -4.274
........
The records of crystals stop here.

And then the feed rate is actually the boss about the ration instead of you …!?!